1.
This entry pairs a crystal structure of Sr3AuO with its theoretical powder diffractogram. Radiation: Cu Kα (weighted mean of Kα1 and Kα2). Structure: a cell relaxed with GGA-PBE.

Peak list (10 most intense, 2θ from 10° to 90°, by intensity)
- hkl 1 3 1, 30.94°, I = 1000
- hkl 3 1 1, 35.47°, I = 453
- hkl 2 4 0, 31.08°, I = 424
- hkl 5 3 1, 54.44°, I = 329
- hkl 2 2 0, 21.63°, I = 306
- hkl 2 0 1, 28.59°, I = 246
- hkl 0 6 0, 38.69°, I = 242
- hkl 1 1 1, 24.98°, I = 225
- hkl 0 2 0, 12.68°, I = 197
- hkl 4 0 0, 35.32°, I = 186

Structural model:
Unit cell a=10.1647 b=13.9657 c=3.9562 alpha=90.00 beta=90.00 gamma=90.00
Space group Cmmm (No. 65)
Unique sites:
Sr 0.0000 0.1823 0.0000 (multiplicity 4)
Sr 0.1953 0.3695 0.5000 (multiplicity 8)
Au 0.0000 0.0000 0.5000 (multiplicity 2)
Au 0.0000 0.5000 0.0000 (multiplicity 2)
O 0.2500 0.2500 0.0000 (multiplicity 4)

2.
This entry pairs a crystal structure of CsPm3F9 with its theoretical powder diffractogram. Radiation: Cu Kα (weighted mean of Kα1 and Kα2). Structure: a cell relaxed with GGA-PBE.

Peak list (10 most intense, 2θ from 10° to 90°, by intensity)
- hkl 2 0 0, 22.98°, I = 1000
- hkl 1 0 1, 22.62°, I = 467
- hkl 2 0 2, 46.18°, I = 308
- hkl 2 2 0, 40.36°, I = 274
- hkl 1 1 1, 27.94°, I = 247
- hkl 0 0 1, 19.45°, I = 202
- hkl 4 0 0, 46.95°, I = 195
- hkl 2 2 2, 57.74°, I = 186
- hkl 4 0 2, 62.98°, I = 156
- hkl 3 1 1, 46.76°, I = 153

Structural model:
Unit cell a=8.9381 b=8.9381 c=4.5642 alpha=90.00 beta=90.00 gamma=120.00
Space group P6/mmm (No. 191)
Unique sites:
Cs 0.0000 0.0000 0.0000 (multiplicity 1)
Pm 0.0000 0.5000 0.5000 (multiplicity 3)
F 0.0000 0.5000 0.0000 (multiplicity 3)
F 0.2173 0.4346 0.5000 (multiplicity 6)

3.
This entry pairs a crystal structure of Er2Co2Cu with its theoretical powder diffractogram. Radiation: Cu Kα (weighted mean of Kα1 and Kα2). Structure: a cell relaxed with GGA-PBE.

Peak list (10 most intense, 2θ from 10° to 90°, by intensity)
- hkl 1 1 -3, 39.94°, I = 1000
- hkl 0 2 1, 36.77°, I = 877
- hkl 3 1 -1, 34.26°, I = 733
- hkl 2 0 2, 35.81°, I = 675
- hkl 2 2 -1, 40.53°, I = 587
- hkl 2 0 -2, 27.38°, I = 540
- hkl 2 2 1, 43.82°, I = 466
- hkl 3 1 -2, 38.03°, I = 399
- hkl 4 2 1, 58.61°, I = 387
- hkl 3 1 1, 39.76°, I = 383

Structural model:
Unit cell a=9.1971 b=5.1923 c=7.5201 alpha=90.00 beta=105.13 gamma=90.00
Space group C2/c (No. 15)
Unique sites:
Er 0.1461 0.1502 0.1471 (multiplicity 8)
Co 0.1409 0.3545 0.5040 (multiplicity 8)
Cu 0.0000 0.3522 0.7500 (multiplicity 4)

4.
This entry pairs a crystal structure of Bi with its theoretical powder diffractogram. Radiation: Cu Kα (weighted mean of Kα1 and Kα2). Structure: a cell relaxed with GGA-PBE.

Peak list (10 most intense, 2θ from 10° to 90°, by intensity)
- hkl 3 1 1, 30.26°, I = 1000
- hkl 2 0 2, 30.50°, I = 975
- hkl 2 2 0, 31.06°, I = 615
- hkl 2 2 1, 33.76°, I = 448
- hkl 4 0 0, 31.78°, I = 434
- hkl 0 2 2, 37.52°, I = 374
- hkl 5 1 3, 59.17°, I = 339
- hkl 0 2 1, 29.67°, I = 312
- hkl 3 3 3, 63.23°, I = 280
- hkl 7 1 1, 60.69°, I = 242

Structural model:
Unit cell a=11.2646 b=6.7006 c=6.8636 alpha=90.00 beta=90.00 gamma=90.00
Space group Cmce (No. 64)
Unique sites:
Bi 0.0000 0.1561 0.1835 (multiplicity 8)
Bi 0.2102 0.0000 0.5000 (multiplicity 8)

5.
This entry pairs a crystal structure of NaAc3Tc2N6 with its theoretical powder diffractogram. Radiation: Cu Kα (weighted mean of Kα1 and Kα2). Structure: a cell relaxed with GGA-PBE.

Peak list (10 most intense, 2θ from 10° to 90°, by intensity)
- hkl 1 1 0, 29.57°, I = 1000
- hkl 0 1 2, 31.03°, I = 854
- hkl 1 0 1, 21.31°, I = 510
- hkl 2 0 2, 43.40°, I = 413
- hkl 1 2 2, 53.39°, I = 380
- hkl 3 0 0, 52.47°, I = 209
- hkl 0 2 1, 36.74°, I = 202
- hkl 3 1 2, 70.38°, I = 169
- hkl 1 0 4, 56.10°, I = 158
- hkl 2 2 0, 61.38°, I = 157

Structural model:
Unit cell a=6.0415 b=6.0415 c=6.9058 alpha=90.00 beta=90.00 gamma=120.00
Space group P-3m1 (No. 164)
Unique sites:
Na 0.0000 0.0000 0.0000 (multiplicity 1)

The reader should filter the lines above: keep the lines with the word "list".

Peak list (10 most intense, 2θ from 10° to 90°, by intensity)
Peak list (10 most intense, 2θ from 10° to 90°, by intensity)
Peak list (10 most intense, 2θ from 10° to 90°, by intensity)
Peak list (10 most intense, 2θ from 10° to 90°, by intensity)
Peak list (10 most intense, 2θ from 10° to 90°, by intensity)